ORCA calculation (ωB97M-V/def2-TZVPD) on a 6-piece molecular cluster, CH15NO5 overall in a non-equilibrium geometry.

Energy above the lowest of the compared OMol25 structures with the same formula, charge and spin   1.355 eV
HOMO energy (alpha / beta)   -0.5062 / -0.5062 Ha
LUMO (alpha / beta)   -0.14567 / -0.34223 Eh
⟨S²⟩   0.754
F_max   4.78 eV/A
Calculated total energy   -477.65021 a.u.
Spin multiplicity   2
Charge   +1

Cartesian coordinates (Å):
C  0.916  1.759  2.240
N  -0.454  1.283  2.050
H  1.458  1.693  1.329
H  1.392  1.136  3.039
H  0.727  2.852  2.484
H  -1.065  2.075  1.759
H  -0.665  0.778  1.142
H  -2.079  1.270  -0.182
H  -1.657  2.529  -0.920
O  -1.965  2.220  -0.057
H  -0.265  1.183  -4.176
H  0.592  0.257  -3.100
O  -0.235  0.645  -3.384
H  1.547  -0.275  0.272
H  1.675  -1.652  0.670
O  1.992  -1.083  -0.066
H  -0.339  -1.024  2.989
H  -0.867  -1.913  1.785
O  -0.093  -1.523  2.205
H  -0.115  -2.532  -1.668
H  0.398  -3.782  -2.413
O  -0.125  -2.981  -2.516

Please copy the part of the material further above that starts with the line with "with the" and stops after the one with "-2.532".

Energy above the lowest of the compared OMol25 structures with the same formula, charge and spin   1.355 eV
HOMO energy (alpha / beta)   -0.5062 / -0.5062 Ha
LUMO (alpha / beta)   -0.14567 / -0.34223 Eh
⟨S²⟩   0.754
F_max   4.78 eV/A
Calculated total energy   -477.65021 a.u.
Spin multiplicity   2
Charge   +1

Cartesian coordinates (Å):
C  0.916  1.759  2.240
N  -0.454  1.283  2.050
H  1.458  1.693  1.329
H  1.392  1.136  3.039
H  0.727  2.852  2.484
H  -1.065  2.075  1.759
H  -0.665  0.778  1.142
H  -2.079  1.270  -0.182
H  -1.657  2.529  -0.920
O  -1.965  2.220  -0.057
H  -0.265  1.183  -4.176
H  0.592  0.257  -3.100
O  -0.235  0.645  -3.384
H  1.547  -0.275  0.272
H  1.675  -1.652  0.670
O  1.992  -1.083  -0.066
H  -0.339  -1.024  2.989
H  -0.867  -1.913  1.785
O  -0.093  -1.523  2.205
H  -0.115  -2.532  -1.668